September 6, 2017
Dear Family of Mary!
“You do not comprehend pain. You do not comprehend that through the love of God you need to accept pain and endure it. Every human being will experience it to a lesser or greater measure. But with peace in the soul and in a state of grace, hope exists; this is my Son, God, born of God.” (September 2, 2017)
Our Lady makes it very clear that we do not comprehend pain. Pain, whether physical, mental, or spiritual, is to be avoided. It is something that weighs us down, exhausts us, confuses us. Pain hobbles us, makes us feel unable to cope, frightens us and cripples us.
But Our Lady tells us that “through the love of God you need to accept pain and endure it.” What does this mean? I take it to mean that if we love God, if we seek Him and His will, and we are focused on serving Him alone, we will see pain in a different way. The God we serve, who leads us through our life, will help us to bear our pain. He will show us how to endure it. He will even use this pain to the benefit of others. He will make our pain part of His plan for redemption. This God we love will help us to pick up our cross and follow Him.
Rather than try to escape a difficulty or cross, even physical pain, we can accept it in faith. Much of the disorder in human society comes from trying to flee from pain. Drugs, alcohol, consumerism, and many other disorders are all attempts to mask and run from pain. They only cause more pain. But what if we could turn to the Lord when pain appears, place our lives in His hands, and quietly trust Him to see us through the pain? What then?
Our Lady tells us that “with peace in the soul” we will have hope, we will have Jesus. This peace comes from our complete trust in Jesus. And she also says that “in a state of grace” we will see that hope exists. If we have confided our lives to Jesus, and we are seeking His forgiveness in confession, we will be in a state of grace. In that state, our hearts are continually nourished and strengthened by the Holy Spirit. We are strong enough to face our suffering because we have the Holy Spirit acting in us. So peace, which comes from surrender, and holiness, which comes from being in a state of grace, will produce hope in our lives, the great gift of God that keeps us focused on eternity.
In the lives of the saints, we see many holy ones who have faced incredible pain with the strength and hope that Our Lady describes for us. I think of St. Maximilian Kolbe who chose to die of starvation in the Nazi prison camp in place of another prisoner. He was able to endure incredible pain, because his hope was invincible. He had great peace in his soul, and was in a state of grace. His eyes were on heaven, and his heart was able to love all those around him. This is heavenly strength and endurance. But it was not just from his strong character, it was from the peace and hope that God filled him with.
May we all learn from Our Lady this important lesson. Pain is not our enemy. Pain is a fact of life. We are able to endure pain if we are with Jesus, in peace of soul and a state of grace. Then the Father will be able to use our suffering for His glory.
### Here the page breaks off for crystal structures
........
Compound: Na9Nb7Zn5Si9S9O72
Source: the Materials Project database
Functional: PBE
Structure: relaxed

Geometry as POSCAR:
```
Na9Nb7Zn5Si9S9O72
1.0
8.935 0.000 0.000
4.466 7.748 0.000
0.216 0.003 22.681
Na Nb Zn Si S O
9 7 5 9 9 72
direct
0.000 0.000 0.000
0.005 0.999 0.502
0.036 0.305 0.912
0.323 0.338 0.329
0.336 0.340 0.837
0.647 0.363 0.745
0.669 0.653 0.171
0.680 0.656 0.665
0.975 0.689 0.085
0.002 0.994 0.848
0.011 0.979 0.348
0.320 0.331 0.181
0.337 0.308 0.679
0.339 0.317 0.471
0.658 0.639 0.514
0.688 0.639 0.010
0.003 0.019 0.633
0.331 0.328 0.973
0.692 0.627 0.811
0.695 0.631 0.309
0.999 0.997 0.144
0.049 0.304 0.072
0.344 0.018 0.573
0.390 0.647 0.403
0.630 0.309 0.577
0.656 0.361 0.904
0.960 0.366 0.406
0.969 0.654 0.906
0.983 0.712 0.237
0.998 0.287 0.740
0.047 0.607 0.575
0.288 0.700 0.739
0.295 0.988 0.241
0.343 0.610 0.075
0.385 0.934 0.906
0.621 0.029 0.074
0.671 0.943 0.408
0.707 0.279 0.240
0.715 0.985 0.741
0.015 0.148 0.084
0.018 0.811 0.294
0.030 0.162 0.801
0.034 0.773 0.581
0.135 0.492 0.628
0.149 0.294 0.013
0.149 0.345 0.129
0.149 0.521 0.521
0.152 0.486 0.915
0.158 0.326 0.422
0.175 0.511 0.232
0.180 0.299 0.736
0.181 0.786 0.795
0.182 0.021 0.295
0.184 0.989 0.576
0.189 0.781 0.081
0.190 0.823 0.398
0.199 0.794 0.687
0.205 0.947 0.905
0.213 0.974 0.188
0.308 0.154 0.237
0.310 0.519 0.739
0.321 0.526 0.024
0.326 0.147 0.519
0.350 0.112 0.911
0.352 0.487 0.416
0.360 0.126 0.632
0.367 0.500 0.130
0.461 0.681 0.744
0.466 0.831 0.961
0.467 0.844 0.248
0.470 0.682 0.465
0.481 0.852 0.853
0.501 0.625 0.347
0.502 0.626 0.072
0.509 0.347 0.637
0.511 0.317 0.521
0.512 0.314 0.920
0.521 0.118 0.129
0.521 0.125 0.415
0.532 0.840 0.568
0.533 0.283 0.236
0.540 0.128 0.021
0.542 0.161 0.739
0.629 0.462 0.844
0.629 0.854 0.073
0.641 0.876 0.354
0.643 0.489 0.570
0.672 0.456 0.245
0.672 0.851 0.751
0.696 0.840 0.461
0.698 0.466 0.961
0.792 0.173 0.294
0.801 0.992 0.077
0.802 0.015 0.794
0.807 0.200 0.187
0.810 0.137 0.576
0.815 0.960 0.688
0.826 0.678 0.245
0.829 0.966 0.403
0.832 0.478 0.744
0.835 0.463 0.465
0.843 0.687 0.969
0.852 0.177 0.902
0.856 0.498 0.070
0.873 0.625 0.853
0.876 0.617 0.572
0.906 0.476 0.348
0.962 0.192 0.688
0.972 0.174 0.398
0.980 0.833 0.900
0.986 0.802 0.176
```

Results
E_tot   -753.73 eV for the cell shown
Formation enthalpy at 0 K   -2.45 eV/atom
Calculated volume   1570.1 Å³/f.u.
MP2020-corrected energy   -7.24 eV per atom

---

Compound: Na18Nb16Zn8Si21S15O144
Source: the Materials Project database
Functional: PBE
Structure: relaxed

Geometry as POSCAR:
```
Na18Nb16Zn8Si21S15O144
1.0
8.963 0.000 0.000
-0.026 15.466 0.000
-0.036 -0.191 22.842
Na Nb Zn Si S O
18 16 8 21 15 144
direct
0.000 0.000 0.000
0.000 0.325 0.161
0.002 0.676 0.332
0.006 0.000 0.505
0.138 0.503 0.250
0.199 0.828 0.251
0.303 0.326 0.749
0.368 0.000 0.751
0.496 0.500 0.002
0.503 0.172 0.829
0.503 0.500 0.505
0.506 0.836 0.164
0.507 0.165 0.330
0.509 0.834 0.667
0.700 0.325 0.250
0.798 0.833 0.747
0.995 0.668 0.828
0.996 0.334 0.666
........
In Jesus, Mary and Joseph!
Cathy Nolan
©Mary TV 2017
PS. Please don’t get me wrong…I am just learning this stuff myself. I think Our Lady wants us to examine our relationship to pain so that we can triumph over it with peace and holiness of life! I am ready to try!